Brief:
Could you reproduce all of the notes below exactly?
Data:
=====
w:
Below is PaSi3 after structural relaxation, with properties calculated at the r2SCAN level.

The calculation puts the density at 7.78 Mg/m³. Its space group is P6_3/mmc (194).

Unit cell a=5.894 b=5.894 c=4.476 alpha=90.00 beta=90.00 gamma=120.00
Element x y z (fractional)
Pa 0.333 0.667 0.250
Pa 0.667 0.333 0.750
Si 0.143 0.285 0.750
Si 0.143 0.857 0.750
Si 0.285 0.143 0.250
Si 0.715 0.857 0.750
Si 0.857 0.143 0.250
Si 0.857 0.715 0.250

x:
Below is PaSi3 after structural relaxation, with properties calculated at the r2SCAN level.

The calculation puts the density at 7.57 Mg/m³. Its space group is Pm-3m (221).

Unit cell a=4.105 b=4.105 c=4.105 alpha=90.00 beta=90.00 gamma=90.00
Element x y z (fractional)
Pa 0.000 0.000 0.000
Si 0.000 0.500 0.500
Si 0.500 0.000 0.500
Si 0.500 0.500 0.000

Stability check: which of them is most stable? x.

w:
Below is Pd after structural relaxation, with properties calculated at the r2SCAN level.

The calculation puts the density at 11.76 Mg/m³. Its space group is Fm-3m (225).

Unit cell a=2.770 b=2.770 c=2.770 alpha=60.00 beta=60.00 gamma=60.00
Element x y z (fractional)
Pd 0.000 0.000 0.000

x:
Below is Pd after structural relaxation, with properties calculated at the r2SCAN level.

The calculation puts the density at 11.73 Mg/m³. Its space group is P6_3/mmc (194).

Unit cell a=2.763 b=2.763 c=9.118 alpha=90.00 beta=90.00 gamma=120.00
Element x y z (fractional)
Pd 0.000 0.000 0.000
Pd 0.000 0.000 0.500
Pd 0.333 0.667 0.250
Pd 0.667 0.333 0.750

Stability check: which of them is most stable? w.

w:
Below is Pm after structural relaxation, with properties calculated at the r2SCAN level.

The calculation puts the density at 6.97 Mg/m³. Its space group is P6_3/mmc (194).

Unit cell a=3.676 b=3.676 c=11.799 alpha=90.00 beta=90.00 gamma=120.00
Element x y z (fractional)
Pm 0.000 0.000 0.000
Pm 0.000 0.000 0.500
Pm 0.333 0.667 0.250
Pm 0.667 0.333 0.750

x:
Below is Pm after structural relaxation, with properties calculated at the r2SCAN level.

The calculation puts the density at 6.92 Mg/m³. Its space group is R-3m (166).

Unit cell a=9.062 b=9.062 c=9.062 alpha=23.55 beta=23.55 gamma=23.55
Element x y z (fractional)
Pm 0.000 0.000 0.000
Pm 0.222 0.222 0.222
Pm 0.778 0.778 0.778

Stability check: which of them is most stable? w.

w:
Below is Pm3Pr after structural relaxation, with properties calculated at the r2SCAN level.

The calculation puts the density at 6.71 Mg/m³. Its space group is P6_3/mmc (194).

Unit cell a=7.492 b=7.492 c=5.863 alpha=90.00 beta=90.00 gamma=120.00
Element x y z (fractional)
Pm 0.167 0.333 0.250
Pm 0.167 0.833 0.250
Pm 0.333 0.167 0.750
Pm 0.667 0.833 0.250
Pm 0.833 0.167 0.750
Pm 0.833 0.667 0.750
Pr 0.333 0.667 0.750
Pr 0.667 0.333 0.250

x:
Below is Pm3Pr after structural relaxation, with properties calculated at the r2SCAN level.

The calculation puts the density at 6.82 Mg/m³. Its space group is I4/mmm (139).

Unit cell a=6.350 b=6.350 c=6.350 alpha=131.59 beta=131.59 gamma=70.87
Element x y z (fractional)
Pm 0.000 0.000 0.000
Pm 0.250 0.750 0.500
Pm 0.750 0.250 0.500
Pr 0.500 0.500 0.000

Stability check: which of them is most stable? x.

~~~~~

# 1
This record from the Materials Project database describes a relaxed structure of Rb2InSbI6. The functional is PBE-GGA.

Unit cell a=12.5069 b=12.5069 c=12.5069 alpha=90.00 beta=90.00 gamma=90.00
Last column: nearest neighbours and their distance in Å.
Space group Fm-3m (No. 225)
Asymmetric unit:
Rb 0.2500 0.2500 0.2500 [8 per cell]  12 I 4.42
In 0.0000 0.0000 0.0000 [4 per cell]  6 I 3.21
Sb 0.0000 0.0000 0.5000 [4 per cell]  6 I 3.04
I 0.0000 0.0000 0.2568 [24 per cell]  1 Sb 3.04, 1 In 3.21

Values from the calculation:
Total magnetic moment: 0.000 μB per atom
E_tot: -104.84 eV per cell
DFT formation energy: -1.050 eV/atom
Mass density: 3.97 g cm⁻³

=====

# 2
This record from the Materials Project database describes a relaxed structure of Li5CuP2O8. The functional is PBE-GGA.
=====
Written answer:
w:
Below is PaSi3 after structural relaxation, with properties calculated at the r2SCAN level.

The calculation puts the density at 7.78 Mg/m³. Its space group is P6_3/mmc (194).

Unit cell a=5.894 b=5.894 c=4.476 alpha=90.00 beta=90.00 gamma=120.00
Element x y z (fractional)
Pa 0.333 0.667 0.250
Pa 0.667 0.333 0.750
Si 0.143 0.285 0.750
Si 0.143 0.857 0.750
Si 0.285 0.143 0.250
Si 0.715 0.857 0.750
Si 0.857 0.143 0.250
Si 0.857 0.715 0.250

x:
Below is PaSi3 after structural relaxation, with properties calculated at the r2SCAN level.

The calculation puts the density at 7.57 Mg/m³. Its space group is Pm-3m (221).

Unit cell a=4.105 b=4.105 c=4.105 alpha=90.00 beta=90.00 gamma=90.00
Element x y z (fractional)
Pa 0.000 0.000 0.000
Si 0.000 0.500 0.500
Si 0.500 0.000 0.500
Si 0.500 0.500 0.000

Stability check: which of them is most stable? x.

w:
Below is Pd after structural relaxation, with properties calculated at the r2SCAN level.

The calculation puts the density at 11.76 Mg/m³. Its space group is Fm-3m (225).

Unit cell a=2.770 b=2.770 c=2.770 alpha=60.00 beta=60.00 gamma=60.00
Element x y z (fractional)
Pd 0.000 0.000 0.000

x:
Below is Pd after structural relaxation, with properties calculated at the r2SCAN level.

The calculation puts the density at 11.73 Mg/m³. Its space group is P6_3/mmc (194).

Unit cell a=2.763 b=2.763 c=9.118 alpha=90.00 beta=90.00 gamma=120.00
Element x y z (fractional)
Pd 0.000 0.000 0.000
Pd 0.000 0.000 0.500
Pd 0.333 0.667 0.250
Pd 0.667 0.333 0.750

Stability check: which of them is most stable? w.

w:
Below is Pm after structural relaxation, with properties calculated at the r2SCAN level.

The calculation puts the density at 6.97 Mg/m³. Its space group is P6_3/mmc (194).

Unit cell a=3.676 b=3.676 c=11.799 alpha=90.00 beta=90.00 gamma=120.00
Element x y z (fractional)
Pm 0.000 0.000 0.000
Pm 0.000 0.000 0.500
Pm 0.333 0.667 0.250
Pm 0.667 0.333 0.750

x:
Below is Pm after structural relaxation, with properties calculated at the r2SCAN level.

The calculation puts the density at 6.92 Mg/m³. Its space group is R-3m (166).

Unit cell a=9.062 b=9.062 c=9.062 alpha=23.55 beta=23.55 gamma=23.55
Element x y z (fractional)
Pm 0.000 0.000 0.000
Pm 0.222 0.222 0.222
Pm 0.778 0.778 0.778

Stability check: which of them is most stable? w.

w:
Below is Pm3Pr after structural relaxation, with properties calculated at the r2SCAN level.

The calculation puts the density at 6.71 Mg/m³. Its space group is P6_3/mmc (194).

Unit cell a=7.492 b=7.492 c=5.863 alpha=90.00 beta=90.00 gamma=120.00
Element x y z (fractional)
Pm 0.167 0.333 0.250
Pm 0.167 0.833 0.250
Pm 0.333 0.167 0.750
Pm 0.667 0.833 0.250
Pm 0.833 0.167 0.750
Pm 0.833 0.667 0.750
Pr 0.333 0.667 0.750
Pr 0.667 0.333 0.250

x:
Below is Pm3Pr after structural relaxation, with properties calculated at the r2SCAN level.

The calculation puts the density at 6.82 Mg/m³. Its space group is I4/mmm (139).

Unit cell a=6.350 b=6.350 c=6.350 alpha=131.59 beta=131.59 gamma=70.87
Element x y z (fractional)
Pm 0.000 0.000 0.000
Pm 0.250 0.750 0.500
Pm 0.750 0.250 0.500
Pr 0.500 0.500 0.000

Stability check: which of them is most stable? x.

~~~~~

# 1
This record from the Materials Project database describes a relaxed structure of Rb2InSbI6. The functional is PBE-GGA.

Unit cell a=12.5069 b=12.5069 c=12.5069 alpha=90.00 beta=90.00 gamma=90.00
Last column: nearest neighbours and their distance in Å.
Space group Fm-3m (No. 225)
Asymmetric unit:
Rb 0.2500 0.2500 0.2500 [8 per cell]  12 I 4.42
In 0.0000 0.0000 0.0000 [4 per cell]  6 I 3.21
Sb 0.0000 0.0000 0.5000 [4 per cell]  6 I 3.04
I 0.0000 0.0000 0.2568 [24 per cell]  1 Sb 3.04, 1 In 3.21

Values from the calculation:
Total magnetic moment: 0.000 μB per atom
E_tot: -104.84 eV per cell
DFT formation energy: -1.050 eV/atom
Mass density: 3.97 g cm⁻³

=====

# 2
This record from the Materials Project database describes a relaxed structure of Li5CuP2O8. The functional is PBE-GGA.